[Exercise]
Type out the whole of the notes underneath word for word.

[Given]
********
No. 1
This record from the Materials Project describes an optimized crystal structure of TeMoWSe3. The functional is PBE-GGA.

Final energy   -6.713 eV per atom
Calculated volume   381.63 Å³ per cell
Energy above the most stable polymorph in this dataset   20.5 meV/atom
Formation energy   -0.709 eV per atom
Symmetry   P3m1

Cell lengths 3.383, 3.383, 38.499 Å; angles 90.00, 90.00, 120.00 degrees
Atoms (fractional coordinates):
Te1 0.000 0.000 0.000
Te2 0.000 0.000 0.098
Mo1 0.000 0.000 0.861
Mo2 0.667 0.333 0.673
W1 0.000 0.000 0.237
W2 0.667 0.333 0.049
Se1 0.000 0.000 0.630
Se2 0.000 0.000 0.716
Se3 0.667 0.333 0.194
Se4 0.667 0.333 0.280
Se5 0.667 0.333 0.818
Se6 0.667 0.333 0.904



No. 2
This record from the Materials Project describes an optimized crystal structure of Te2MoWSe2. The functional is PBE-GGA.

Final energy   -6.548 eV per atom
Calculated volume   400.20 Å³ per cell
Energy above the most stable polymorph in this dataset   19.6 meV/atom
Formation energy   -0.525 eV per atom
Symmetry   P3m1

Cell lengths 3.438, 3.438, 39.099 Å; angles 90.00, 90.00, 120.00 degrees
Atoms (fractional coordinates):
Te1 0.000 0.000 0.000
Te2 0.000 0.000 0.095
Te3 0.000 0.000 0.375
Te4 0.000 0.000 0.471
Mo1 0.000 0.000 0.860
Mo2 0.333 0.667 0.047
W1 0.000 0.000 0.235
W2 0.333 0.667 0.423
Se1 0.333 0.667 0.193
Se2 0.333 0.667 0.277
Se3 0.333 0.667 0.818
Se4 0.333 0.667 0.901



No. 3
This record from the Materials Project describes an optimized crystal structure of TeMoWSe3. The functional is PBE-GGA.

Final energy   -6.733 eV per atom
Calculated volume   380.50 Å³ per cell
Energy above the most stable polymorph in this dataset   0.2 meV/atom
Formation energy   -0.730 eV per atom
Symmetry   P3m1

Cell lengths 3.379, 3.379, 38.474 Å; angles 90.00, 90.00, 120.00 degrees
Atoms (fractional coordinates):
Te1 0.000 0.000 0.000
Te2 0.000 0.000 0.098
Mo1 0.000 0.000 0.485
Mo2 0.333 0.667 0.049
W1 0.000 0.000 0.861
W2 0.333 0.667 0.673
Se1 0.000 0.000 0.630
Se2 0.000 0.000 0.716
Se3 0.333 0.667 0.442
Se4 0.333 0.667 0.528
Se5 0.333 0.667 0.818
Se6 0.333 0.667 0.904



No. 4
This record from the Materials Project describes an optimized crystal structure of Te3MoWSe. The functional is PBE-GGA.

Final energy   -6.377 eV per atom
Calculated volume   420.28 Å³ per cell
Energy above the most stable polymorph in this dataset   20.1 meV/atom
Formation energy   -0.334 eV per atom
Symmetry   P3m1

Cell lengths 3.500, 3.500, 39.608 Å; angles 90.00, 90.00, 120.00 degrees
Atoms (fractional coordinates):
Te1 0.000 0.000 0.000
Te2 0.000 0.000 0.092
Te3 0.000 0.000 0.375
Te4 0.000 0.000 0.468
Te5 0.333 0.667 0.188
Te6 0.333 0.667 0.281
Mo1 0.000 0.000 0.858
Mo2 0.333 0.667 0.046
W1 0.000 0.000 0.234
W2 0.333 0.667 0.422
Se1 0.333 0.667 0.818
Se2 0.333 0.667 0.899



No. 5
This record from the Materials Project describes an optimized crystal structure of Te4MoW3Se4. The functional is PBE-GGA.

Final energy   -6.674 eV per atom
Calculated volume   401.25 Å³ per cell
Energy above the most stable polymorph in this dataset   20.3 meV/atom
Formation energy   -0.475 eV per atom
Symmetry   P3m1

Cell lengths 3.438, 3.438, 39.190 Å; angles 90.00, 90.00, 120.00 degrees
Atoms (fractional coordinates):
Te1 0.000 0.000 0.000
Te2 0.000 0.000 0.095
Te3 0.333 0.667 0.812
Te4 0.333 0.667 0.907
Mo1 0.000 0.000 0.484
W1 0.000 0.000 0.860
W2 0.333 0.667 0.048
W3 0.333 0.667 0.672
Se1 0.000 0.000 0.630
Se2 0.000 0.000 0.714
Se3 0.333 0.667 0.442
Se4 0.333 0.667 0.526



No. 6
This record from the Materials Project describes an optimized crystal structure of Te2MoWSe2. The functional is PBE-GGA.

Final energy   -6.528 eV per atom
Calculated volume   401.95 Å³ per cell
Energy above the most stable polymorph in this dataset   39.6 meV/atom
Formation energy   -0.505 eV per atom
Symmetry   P-3m1

Cell lengths 3.444, 3.444, 39.142 Å; angles 90.00, 90.00, 120.00 degrees
Atoms (fractional coordinates):
Te1 0.333 0.667 0.358
Te2 0.333 0.667 0.454
Te3 0.667 0.333 0.546
********

[Done]
No. 1
This record from the Materials Project describes an optimized crystal structure of TeMoWSe3. The functional is PBE-GGA.

Final energy   -6.713 eV per atom
Calculated volume   381.63 Å³ per cell
Energy above the most stable polymorph in this dataset   20.5 meV/atom
Formation energy   -0.709 eV per atom
Symmetry   P3m1

Cell lengths 3.383, 3.383, 38.499 Å; angles 90.00, 90.00, 120.00 degrees
Atoms (fractional coordinates):
Te1 0.000 0.000 0.000
Te2 0.000 0.000 0.098
Mo1 0.000 0.000 0.861
Mo2 0.667 0.333 0.673
W1 0.000 0.000 0.237
W2 0.667 0.333 0.049
Se1 0.000 0.000 0.630
Se2 0.000 0.000 0.716
Se3 0.667 0.333 0.194
Se4 0.667 0.333 0.280
Se5 0.667 0.333 0.818
Se6 0.667 0.333 0.904



No. 2
This record from the Materials Project describes an optimized crystal structure of Te2MoWSe2. The functional is PBE-GGA.

Final energy   -6.548 eV per atom
Calculated volume   400.20 Å³ per cell
Energy above the most stable polymorph in this dataset   19.6 meV/atom
Formation energy   -0.525 eV per atom
Symmetry   P3m1

Cell lengths 3.438, 3.438, 39.099 Å; angles 90.00, 90.00, 120.00 degrees
Atoms (fractional coordinates):
Te1 0.000 0.000 0.000
Te2 0.000 0.000 0.095
Te3 0.000 0.000 0.375
Te4 0.000 0.000 0.471
Mo1 0.000 0.000 0.860
Mo2 0.333 0.667 0.047
W1 0.000 0.000 0.235
W2 0.333 0.667 0.423
Se1 0.333 0.667 0.193
Se2 0.333 0.667 0.277
Se3 0.333 0.667 0.818
Se4 0.333 0.667 0.901



No. 3
This record from the Materials Project describes an optimized crystal structure of TeMoWSe3. The functional is PBE-GGA.

Final energy   -6.733 eV per atom
Calculated volume   380.50 Å³ per cell
Energy above the most stable polymorph in this dataset   0.2 meV/atom
Formation energy   -0.730 eV per atom
Symmetry   P3m1

Cell lengths 3.379, 3.379, 38.474 Å; angles 90.00, 90.00, 120.00 degrees
Atoms (fractional coordinates):
Te1 0.000 0.000 0.000
Te2 0.000 0.000 0.098
Mo1 0.000 0.000 0.485
Mo2 0.333 0.667 0.049
W1 0.000 0.000 0.861
W2 0.333 0.667 0.673
Se1 0.000 0.000 0.630
Se2 0.000 0.000 0.716
Se3 0.333 0.667 0.442
Se4 0.333 0.667 0.528
Se5 0.333 0.667 0.818
Se6 0.333 0.667 0.904



No. 4
This record from the Materials Project describes an optimized crystal structure of Te3MoWSe. The functional is PBE-GGA.

Final energy   -6.377 eV per atom
Calculated volume   420.28 Å³ per cell
Energy above the most stable polymorph in this dataset   20.1 meV/atom
Formation energy   -0.334 eV per atom
Symmetry   P3m1

Cell lengths 3.500, 3.500, 39.608 Å; angles 90.00, 90.00, 120.00 degrees
Atoms (fractional coordinates):
Te1 0.000 0.000 0.000
Te2 0.000 0.000 0.092
Te3 0.000 0.000 0.375
Te4 0.000 0.000 0.468
Te5 0.333 0.667 0.188
Te6 0.333 0.667 0.281
Mo1 0.000 0.000 0.858
Mo2 0.333 0.667 0.046
W1 0.000 0.000 0.234
W2 0.333 0.667 0.422
Se1 0.333 0.667 0.818
Se2 0.333 0.667 0.899



No. 5
This record from the Materials Project describes an optimized crystal structure of Te4MoW3Se4. The functional is PBE-GGA.

Final energy   -6.674 eV per atom
Calculated volume   401.25 Å³ per cell
Energy above the most stable polymorph in this dataset   20.3 meV/atom
Formation energy   -0.475 eV per atom
Symmetry   P3m1

Cell lengths 3.438, 3.438, 39.190 Å; angles 90.00, 90.00, 120.00 degrees
Atoms (fractional coordinates):
Te1 0.000 0.000 0.000
Te2 0.000 0.000 0.095
Te3 0.333 0.667 0.812
Te4 0.333 0.667 0.907
Mo1 0.000 0.000 0.484
W1 0.000 0.000 0.860
W2 0.333 0.667 0.048
W3 0.333 0.667 0.672
Se1 0.000 0.000 0.630
Se2 0.000 0.000 0.714
Se3 0.333 0.667 0.442
Se4 0.333 0.667 0.526



No. 6
This record from the Materials Project describes an optimized crystal structure of Te2MoWSe2. The functional is PBE-GGA.

Final energy   -6.528 eV per atom
Calculated volume   401.95 Å³ per cell
Energy above the most stable polymorph in this dataset   39.6 meV/atom
Formation energy   -0.505 eV per atom
Symmetry   P-3m1

Cell lengths 3.444, 3.444, 39.142 Å; angles 90.00, 90.00, 120.00 degrees
Atoms (fractional coordinates):
Te1 0.333 0.667 0.358
Te2 0.333 0.667 0.454
Te3 0.667 0.333 0.546